For the purpose of this chapter, the following definitions shall apply unless the context clearly indicates or requires a different meaning.
**Attached: materials data:**
+++
No. 1
## HfCrAs2O8 (GGA+U)

Data for crystalline HfCrAs2O8 at its relaxed geometry.

Unit cell a=5.7280 b=5.7280 c=5.7280 alpha=107.32 beta=107.32 gamma=113.86
Closest atoms and distances in Å follow each position.
Fractional coordinates of all 12 atoms:
As 0.7500 0.2500 0.5000  4 O 1.73
As 0.5000 0.5000 0.0000  4 O 1.71
O 0.3271 0.1318 0.8047  1 As 1.71
O 0.9418 0.6258 0.6840  1 As 1.73
O 0.3271 0.5224 0.1953  1 As 1.71
O 0.7422 0.0582 0.6840  1 As 1.73
O 0.9418 0.2578 0.3160  1 As 1.73
O 0.8682 0.6729 0.1953  1 As 1.71
O 0.4776 0.6729 0.8047  1 As 1.71
O 0.3742 0.0582 0.3160  1 As 1.73
Hf 0.2500 0.7500 0.5000  8 O 2.12-2.30
Cr 0.0000 0.0000 0.0000  8 O 2.18-2.44

- energy (eV/atom) = -7.37
- mass density (g cm⁻³) = 5.9

---

No. 2
## Hf2CrAsO (GGA+U)

Data for crystalline Hf2CrAsO at its relaxed geometry.

Unit cell a=4.1860 b=5.1654 c=4.1860 alpha=90.00 beta=90.00 gamma=90.00
Closest atoms and distances in Å follow each position.
Fractional coordinates of all 5 atoms:
O 0.0000 0.0000 0.0000  4 Hf 2.09
Cr 0.5000 0.5000 0.5000  4 As 2.96
As 0.0000 0.5000 0.0000  2 O 2.58
Hf 0.5000 0.0000 0.0000  2 O 2.09
Hf 0.0000 0.0000 0.5000  2 O 2.09

- energy (eV/atom) = -8.01
- mass density (g cm⁻³) = 9.2

---

Which of these has the lowest energy?
Hf2CrAsO

~~~~~

VASP calculation (PBE-GGA) on an optimized crystal structure of Pr3SmTl2.

Cell: 5.1245 8.7947 10.4067 Å, 117.76 90.00 106.94°
Fractional positions:
Pr (0.2874, 0.5747, 0.6186)
Pr (0.9581, 0.9162, 0.6381)
Pr (0.6321, 0.2642, 0.6746)
Pr (0.3679, 0.7358, 0.3254)
Pr (0.0419, 0.0838, 0.3619)
Pr (0.7126, 0.4253, 0.3814)
Sm (0.8810, 0.7620, 0.9349)
Sm (0.1190, 0.2380, 0.0651)
Tl (0.5085, 0.0170, 0.8586)
Tl (0.4915, 0.9830, 0.1414)
Tl (0.7602, 0.5204, 0.1040)
Tl (0.2398, 0.4796, 0.8960)

## Properties
* energy of formation from the pure elements: -0.189 eV/atom
* ΔE to the lowest computed polymorph: 0.0828 eV/atom
* Fermi-level density of states: 6.33 states/eV/f.u.

~~~~~

# CdFe2Ru

A relaxed structure of CdFe2Ru (GGA-PBE, the Alexandria database).

Cell lengths 2.753, 3.734, 5.665 Å; angles 90.00, 90.00, 90.00 degrees
Space group Pmmm (No. 47)
One atom of each set of equivalent atoms:
Cd 0.000 0.000 0.000 x1
Fe 0.500 0.500 0.290 x2
Ru 0.000 0.000 0.500 x1

Calculated values
Calculated formation energy = 1.134 eV per formula unit


# CdFe2Ru4

A relaxed structure of CdFe2Ru4 (GGA-PBE, the Alexandria database).

Cell lengths 4.777, 4.777, 12.032 Å; angles 90.00, 90.00, 90.00 degrees
Space group I4/mmm (No. 139)
One atom of each set of equivalent atoms:
Cd 0.000 0.000 0.000 x2
Fe 0.000 0.000 0.402 x4
Ru 0.000 0.000 0.219 x4
Ru 0.000 0.500 0.000 x4

Calculated values
Calculated formation energy = 12.977 eV per formula unit


# CdFeRu4

A relaxed structure of CdFeRu4 (GGA-PBE, the Alexandria database).

Cell lengths 7.249, 7.249, 7.249 Å; angles 90.00, 90.00, 90.00 degrees
Space group F-43m (No. 216)
One atom of each set of equivalent atoms:
Cd 0.000 0.000 0.000 x4
Fe 0.250 0.250 0.750 x4
+++
**So much for the materials data:**
ADMINISTRATIVE OFFICIAL. Any department, employee or advisory, elected or appointed body which is authorized to administer any provisions of the zoning regulations, subdivision regulations, and, if delegated, any provisions of any housing or building regulations or any other land use control regulations.
BOARD. The Board of Adjustment unless the context indicates otherwise.
# Misplaced crystal structures
********
#1
Ce2ThZn: relaxed, PBE.

extended XYZ file:
```
4
Lattice="-0.429 -0.009 -4.927 2.765 -3.653 -0.234 -3.639 -2.775 0.322" Properties=species:S:1:pos:R:3 pbc="T T T"
Zn -0.214 -0.004 -2.464
Ce -1.820 -1.387 0.161
Ce 1.382 -1.827 -0.117
Th -0.651 -3.218 -2.420
```

Calculated values
space group	P4/mmm, No. 123
total magnetic moment	1.2	Bohr magnetons per cell


#2
Ce2ThZn: relaxed, PBE.

extended XYZ file:
```
4
Lattice="3.414 0.000 0.000 1.707 2.957 0.000 1.707 0.986 10.676" Properties=species:S:1:pos:R:3 pbc="T T T"
Ce 1.708 0.986 8.253
Ce 1.707 0.986 2.423
Th 3.415 1.971 5.338
Zn 3.414 1.971 0.000
```

Calculated values
space group	R3m, No. 160
total magnetic moment	0.3	Bohr magnetons per cell


#3
Ce2ThZn: relaxed, PBE.

extended XYZ file:
```
4
Lattice="-2.304 -4.766 -0.371 2.129 -3.742 -3.103 2.322 -4.247 2.177" Properties=species:S:1:pos:R:3 pbc="T T T"
Zn 1.074 -6.378 -0.649
Ce 0.537 -3.189 -0.324
Ce 1.611 -9.566 -0.973
Th 0.000 0.000 0.000
```

Calculated values
space group	Fm-3m, No. 225
total magnetic moment	1.0	Bohr magnetons per cell


The data favor #1; the next most stable structure lies 0.063 eV/atom above it.


#1
CeThZn2: relaxed, PBE.

extended XYZ file:
```
4
Lattice="3.635 0.000 0.000 0.000 3.635 0.000 0.000 0.000 7.315" Properties=species:S:1:pos:R:3 pbc="T T T"
Zn 0.000 0.000 5.514
Zn 0.000 0.000 1.801
Ce 1.817 1.817 0.000
Th 1.817 1.817 3.658
```

Calculated values
space group	P4/mmm, No. 123
total magnetic moment	0.7	Bohr magnetons per cell


#2
CeThZn2: relaxed, PBE.

extended XYZ file:
```
4
Lattice="4.282 0.000 0.000 0.000 4.680 0.000 0.000 0.000 4.680" Properties=species:S:1:pos:R:3 pbc="T T T"
Zn 0.000 0.000 2.340
Zn 0.000 2.340 0.000
Ce 2.141 0.000 0.000
Th 2.141 2.340 2.340
```

Calculated values
space group	P4/mmm, No. 123
total magnetic moment	0.4	Bohr magnetons per cell


#3
CeThZn2: relaxed, PBE.

extended XYZ file:
```
4
Lattice="-4.173 -2.701 1.336 0.391 -5.047 0.936 -0.489 -1.771 4.809" Properties=species:S:1:pos:R:3 pbc="T T T"
Zn -1.068 -2.380 1.770
Zn -3.203 -7.139 5.311
Ce -2.135 -4.759 3.541
Th 0.000 0.000 0.000
```

Calculated values
space group	Fm-3m, No. 225
total magnetic moment	0.6	Bohr magnetons per cell


The data favor #1; the next most stable structure lies 0.013 eV/atom above it.


#1
CeThZn: relaxed, PBE.

extended XYZ file:
```
3
Lattice="-0.688 3.141 1.697 1.506 -1.962 4.242 3.214 2.284 -2.927" Properties=species:S:1:pos:R:3 pbc="T T T"
Zn 2.414 1.921 0.031
Ce -0.010 0.047 0.025
Th 1.628 1.496 2.956
```

Calculated values
space group	P3m1, No. 156
total magnetic moment	0.5	Bohr magnetons per cell


#2
CeThZn: relaxed, PBE.

extended XYZ file:
```
6
Lattice="3.419 0.000 0.000 0.000 3.419 0.000 0.000 0.000 13.033" Properties=species:S:1:pos:R:3 pbc="T T T"
Ce 0.000 1.710 7.675
Ce 1.710 0.000 5.358
Th 0.000 1.710 2.788
Th 1.710 0.000 10.245
Zn 1.710 0.000 0.635
Zn 0.000 1.710 12.399
```

Calculated values
space group	P4/nmm, No. 129
total magnetic moment	0.0	Bohr magnetons per cell


#3
********
CITIZEN MEMBER. Any member of the Planning and Zoning Commission or Board of Adjustment who is not an elected or appointed official or employee of the City.
COMMISSION. The Newport Planning and Zoning Commission.
CONDITIONAL USE. A use which is essential to or would promote the public health, safety or welfare in 1 or more zones, but which would impair the integrity and character of the zone in which it is located or in adjoining zones unless restrictions on location, size, extent and character of performance are imposed in addition to those imposed in the zoning regulations.
CONDITIONAL USE PERMIT. Legal authorization to undertake a conditional use, issued by the administrative official pursuant to authorization by the Board of Adjustment, consisting of 2 parts:
(1) A statement of the factual determination by the Board of Adjustment which justifies the issuance of the permit; and
### Between two parts of the article: materials data
LaDyCd6: relaxed, PBE.

Volume: 24.4 A^3/atom
E_form: -28.5 kJ/mol of atoms
Space-group type: No. 38
Size of the total moment: 0.00 μB per cell

Unit cell a=4.8981 b=6.5965 c=6.5965 alpha=66.45 beta=90.00 gamma=90.00
Element x y z (fractional)
Cd: 0.5000 0.6193 0.1908
Cd: 0.0000 0.3317 0.3317
Cd: 0.0000 0.8023 0.3818
Cd: 0.5000 0.1908 0.6193
Cd: 0.5000 0.6769 0.6769
Cd: 0.0000 0.3818 0.8023
Dy: 0.0000 0.8614 0.8614
La: 0.5000 0.1358 0.1358

***

K4LiReO6: relaxed, PBE.

Volume: 14.9 A^3/atom
Raw total energy: -5.699 eV/atom
Space-group type: No. 12
Size of the total moment: 0.00 μB per cell

Unit cell a=6.2466 b=6.2466 c=6.0874 alpha=104.16 beta=104.16 gamma=120.37
Element x y z (fractional)
K: 0.6680 0.3320 0.0000
K: 0.3320 0.6680 0.0000
K: 0.8226 0.1774 0.5000
K: 0.1774 0.8226 0.5000
Li: 0.5000 0.5000 0.5000
O: 0.8274 0.8274 0.1821
O: 0.3481 0.1029 0.2278
O: 0.1029 0.3481 0.2278
O: 0.8971 0.6519 0.7722
O: 0.6519 0.8971 0.7722
O: 0.1726 0.1726 0.8179
Re: 0.0000 0.0000 0.0000

***

Tb3Al3Ni2Ge: relaxed, PBE.

Volume: 19.3 A^3/atom
Raw total energy: -5.080 eV/atom
Space-group type: No. 189
Size of the total moment: 0.00 μB per cell

Unit cell a=7.2857 b=7.2857 c=3.7879 alpha=90.00 beta=90.00 gamma=120.00
Element x y z (fractional)
Al: 0.2661 0.0000 0.0000
Al: 0.0000 0.2661 0.0000
Al: 0.7339 0.7339 0.0000
Ge: 0.0000 0.0000 0.5000
Ni: 0.6667 0.3333 0.0000
Ni: 0.3333 0.6667 0.0000
Tb: 0.5963 0.0000 0.5000
Tb: 0.4037 0.4037 0.5000
Tb: 0.0000 0.5963 0.5000

***

Lu2InCu: relaxed, PBE.

Volume: 22.5 A^3/atom
Raw total energy: -3.835 eV/atom
Space-group type: No. 216
Size of the total moment: 0.00 μB per cell

Unit cell a=5.0335 b=5.0335 c=5.0335 alpha=60.00 beta=60.00 gamma=60.00
Element x y z (fractional)
Cu: 0.2500 0.2500 0.2500
In: 0.5000 0.5000 0.5000
Lu: 0.0000 0.0000 0.0000
Lu: 0.7500 0.7500 0.7500

***

Q: Look up the volume of the second one.
A: 14.9 A^3/atom

=====

# Ac3Pr3Tl2Hg PBE relaxed
data_Ac3Pr3Tl2Hg
_chemical_formula_sum 'Ac3 Pr3 Tl2 Hg1'
_cell_length_a 4.0133
_cell_length_b 9.5182
_cell_length_c 9.5182
_cell_angle_alpha 120.00
_cell_angle_beta 90.00
_cell_angle_gamma 90.00
_symmetry_space_group_name_H-M 'P 1'
_symmetry_Int_Tables_number 1
loop_
_symmetry_equiv_pos_as_xyz
'x,y,z'
loop_
_atom_site_label
_atom_site_fract_x
_atom_site_fract_y
_atom_site_fract_z
_atom_site_occupancy
Ac1 0.5000 0.7265 0.0000 1
Ac2 0.5000 0.2735 0.2735 1
Ac3 0.5000 0.0000 0.7265 1
Tl1 0.5000 0.6667 0.3333 1
Tl2 0.5000 0.3333 0.6667 1
Pr1 0.0000 0.6029 0.6029 1
Pr2 0.0000 0.3971 0.0000 1
Pr3 0.0000 0.0000 0.3971 1
Hg1 0.0000 0.0000 0.0000 1
# calculated volume	314.9	Å³ per cell
# DFT formation energy	-2.28	eV per formula unit

# Ac3Pr3TlHg2 PBE relaxed
data_Ac3Pr3TlHg2
_chemical_formula_sum 'Ac3 Pr3 Tl1 Hg2'
_cell_length_a 4.0625
_cell_length_b 9.4065
_cell_length_c 9.4065
_cell_angle_alpha 120.00
_cell_angle_beta 90.00
_cell_angle_gamma 90.00
_symmetry_space_group_name_H-M 'P 1'
_symmetry_Int_Tables_number 1
loop_
_symmetry_equiv_pos_as_xyz
'x,y,z'
loop_
(2) A statement of the specific conditions which must be met in order for the use to be permitted.
DIMENSIONAL VARIANCE. A departure from the terms of the zoning regulation pertaining to height or width of structures and size of yards and open spaces, where the departure will not be contrary to the public interest, and where, owing to conditions peculiar to the property because of its size, shape or topography, and not as a result of the actions of the applicant, the literal enforcement of the zoning regulations would result in unnecessary and undue hardship.
NONCONFORMING USE OR STRUCTURE. An activity or a building, sign, structure or a portion thereof which lawfully existed before the adoption or amendment of the zoning regulations, but which does not conform to all of the regulations contained in the zoning regulations which pertain to the zone in which it is located.
PLAT. The map of a subdivision.
PUBLIC FACILITY. Any use of land whether publicly- or privately-owned for transportation, utilities or communications, or for the benefit of the general public, including, but not limited to libraries, streets, schools, fire or police stations, county buildings, municipal buildings, recreational centers, including parks and cemeteries.
REGULATION. Any enactment by the Board of Commissioners, whether it is an ordinance or resolution and shall include regulations for the subdivision of land adopted by the Planning Commission.
SEVERAL. Two or more.
STRUCTURE. Anything constructed or made, the use of which requires permanent location in or on the ground or attachment to something having permanent location in or on the ground, including buildings and signs.
SUBDIVISION. The division of a parcel of land into 2 or more lots or parcels for the purpose, whether immediate or future, of sale, lease or building development, or if a new street is involved, any division of a parcel of land; providing that, a division of land for agricultural purposes into lots or parcels of 5 acres or more and not involving a new street shall not be deemed a SUBDIVISION. The term includes RE-SUBDIVISION and, when appropriate to the context, shall relate to the process of subdivision or to the land subdivided.
(1995 Code, § 2.60.010)